The Bookworm – Part II with Ben Pritchett
Another cornerstone in any business coach’s repertoire is sales skills. After nearly 26 years in the field of coaching and consulting, I’ve taken my fair share of sales training and I’ve read dozens of books on the topic.
One of the biggest keys to selling in my mind is that we all like to buy (we’re called consumers for a reason), but we don’t particularly like to be sold … most certainly not if we feel that we’ve been misled, coerced or tricked into the purchase.
The other challenge that we have as coaches is that we are selling an intangible. You can’t see, touch, taste, smell or feel coaching services. Once we’re done there may be tangible improvements, but it’s hard to leave our fingerprints on them and a surprising number of clients will like to take credit for our hard work once all is said and done. (Amazingly, when there are problems, we always get to take the blame though.)
With that preamble out of the way, here are some of my top choices for coaches wanting to hone their sales skills:
Selling the Invisible: A Field Guide to Modern Marketing
By Harry Beckwith
This book has been out for almost two decades, but is still probably the best one I’ve seen on selling that tackles the concept of intangibility. Let’s face it, there’s been a shift in the overall economy over the past few decades where we’ve moved from manufacturing to more and more services, so understanding intangibles is becoming increasingly important.
Beckwith has taken a fairly complex topic and broken it down into dozens of short pithy chapters filled with ideas, insights and examples of the best ways to give the invisible substance. This is one of the first books to approach this topic and it still provides great value for the reader.
Not much more to say about this book … pick it up, read it and apply it, you’ll be glad that you did.
Ziglar on Selling / Zig Ziglar’s Secrets of Closing the Sale
By Zig Ziglar
I probably should have led off with Zig, because Secrets of Closing the Sale is the first book I read on the topic and it’s still a classic well worth reading on the topic. Ziglar on Selling is the newer book though, so it might be the best choice if you only have the time to red one.
Many of Ziglar’s ideas might seem a little old fashioned or outdated, but don’t sell him short. Many things have changed over the years, but human nature is not one of them. People are still motivated by greed, one-upmanship, saving money and many other basic human needs. The fact that he was selling pots and pans door to door isn’t material to the fact that you can adapt his ideas to selling coaching services too.
Sadly, Zig passed away a few years ago but his sales wisdom lives on in his books and programs.
Silver Bullet Selling: Six Critical Steps to Opening More Relationships and Closing More Sales
by G.A. Bartick & Paul Bartick
I was taking some intense sales training from a former top Sandler Franchise owner in Louisville, Kentucky a few years back … while I certainly learned a lot, I found some of the methods and techniques hard to grasp.
Before one of my flights to Kentucky I came across this book and bought it on something of a whim. I was shocked by not only how good the content was but how much it covered what I was paying thousands of dollars to learn … not only covering it, but explaining it better!
For bigger ticket sales or sales involving a longer sales cycle, this is the book you want to read. It has great easily applicable content for almost every sales situation. Combined with some of the other tried and true techniques in the previous books you will have quite the sales arsenal.
Little Platinum Book of Cha-Ching: 32.5 Strategies to Ring Your Own (Cash) Register in Business and Personal Success
by Jeffrey Gitomer
### Materials data that have nothing to do with the text
<<<
Entry 1:
The following is a calculated powder diffraction line list of Rb3HCl3. It was derived from a PBE-relaxed structure, using copper Kα.
Neutral-atom scattering factors, no anomalous dispersion.

Cell and atoms:
Lattice parameters (Å, degrees): 8.2689 14.6078 8.4208 90.00 91.78 90.00
Space group C2/m (No. 12)
One atom of each set of equivalent atoms:
Rb1 0.1085 0.0000 0.2708 x4
Rb2 0.1880 0.3121 0.2449 x8
H1 0.2181 0.5000 0.3559 x4
Cl1 0.0000 0.1639 0.0000 x4
Cl2 0.0000 0.1787 0.5000 x4
Cl3 0.0066 0.5000 0.7568 x4

Peak list (12 most intense, 10 to 90 degrees two-theta, by angle)
- 21.11 deg, I 73, (0 0 2)
- 23.54 deg, I 86, (1 3 -1)
- 23.69 deg, I 45, (2 0 -1)
- 23.85 deg, I 100, (1 3 1)
- 24.29 deg, I 47, (2 0 1)
- 29.83 deg, I 45, (1 3 -2)
- 30.32 deg, I 30, (1 3 2)
- 32.30 deg, I 44, (2 2 -2)
- 36.92 deg, I 34, (0 6 0)
- 37.51 deg, I 57, (3 3 0)
- 38.90 deg, I 38, (1 3 3)
- 42.95 deg, I 49, (0 0 4)

***

Entry 2:
The following is a calculated powder diffraction line list of CaMgPO4. It was derived from a PBE-relaxed structure, using copper Kα.
Neutral-atom scattering factors, no anomalous dispersion.

Cell and atoms:
Lattice parameters (Å, degrees): 6.0734 6.8515 8.3712 90.00 90.00 90.00
Space group Imma (No. 74)
One atom of each set of equivalent atoms:
Ca1 0.0000 0.0000 0.0000 x4
Mg1 0.2500 0.2500 0.2500 x4
P1 0.0000 0.2500 0.6142 x4
O1 0.0000 0.0618 0.7180 x8
O2 0.2105 0.2500 0.5013 x8

Peak list (12 most intense, 10 to 90 degrees two-theta, by angle)
- 29.00 deg, I 35, (1 1 2)
- 29.41 deg, I 18, (2 0 0)
- 31.84 deg, I 100, (1 2 1)
- 34.02 deg, I 59, (2 1 1)
- 34.71 deg, I 14, (0 1 3)
- 35.40 deg, I 38, (1 0 3)
- 39.66 deg, I 44, (2 2 0)
- 43.23 deg, I 18, (0 0 4)
- 44.45 deg, I 16, (1 2 3)
- 53.50 deg, I 18, (0 4 0)
- 56.13 deg, I 16, (3 0 3)
- 60.10 deg, I 55, (2 2 4)

***

Entry 3:
The following is a calculated powder diffraction line list of Hf7Al2In2. It was derived from a PBE-relaxed structure, using copper Kα.
Neutral-atom scattering factors, no anomalous dispersion.

Cell and atoms:
Lattice parameters (Å, degrees): 10.7826 8.5147 5.3208 90.00 99.79 90.00
Space group C2/m (No. 12)
One atom of each set of equivalent atoms:
Hf1 0.0000 0.0000 0.0000 x2
Hf2 0.0480 0.5000 0.2691 x4
Hf3 0.2444 0.3343 0.7520 x8
Al1 0.2033 0.0000 0.7372 x4
In1 0.0000 0.1878 0.5000 x4

Peak list (12 most intense, 10 to 90 degrees two-theta, by angle)
- 20.43 deg, I 29, (1 1 -1)
- 26.84 deg, I 52, (2 2 0)
- 29.84 deg, I 25, (3 1 -1)
- 30.28 deg, I 28, (2 2 -1)
- 33.74 deg, I 64, (4 0 0)
- 34.53 deg, I 38, (3 1 1)
- 35.48 deg, I 53, (2 0 -2)
- 37.68 deg, I 100, (1 3 1)
- 42.59 deg, I 33, (3 3 -1)
- 45.93 deg, I 22, (2 4 0)
- 59.35 deg, I 33, (5 3 1)
- 61.67 deg, I 29, (1 3 -3)

~~~~~

[1]
Starting from DFT lattice parameters and positions (PBE), the X-ray diffraction stick pattern of LaBePt3 was simulated for Cu Kα, 1.54184 Å.
No peak broadening, texture or thermal motion is included.

Structural model:
>>>
### So much for the materials data
This book may be a little hard to find now, but it’s worth the effort. It’s based, in part, on an old sales manual for NCR Cash Registers (some of you young readers may have to Google that one).
Gitomer is a sales master who manages to inject humour, wit and wisdom into his books on selling. I’ve read most of his material and while you can’t go wrong with either of his titles on selling, I like this one the best.
Honourable Mention:
How to Master the Art of Selling
by Tom Hopkins & Judy Slack
In a similar vein as Zig Ziglar’s books, Tommy Hopkins is an old school hardcore salesman with lots of tips and tricks up his sleeve. You can get a great sales education from the other books listed here, but if you want a little extra credit, grab this one.
Sales is a skill that every coach must master, both to close your own business and to teach your clients. Everybody knows something about sales, but reading these books will help you master the skill. It’s vital to your success, so get to it … As Zig liked to say “See you at the top!”

About Ben Pritchett
Ben Pritchett started his first business at the age of 15, and began his own consulting practice in 1991. For over 25 years he has worked with clients in many industries including restaurants, direct sales, software development, tourism, dimension stone (granite quarrying and manufacturing), aviation, and optometry, just to name a few. Companies coached by Ben have nearly doubled and tripled their revenues in a single year.